Bopolu – In Gbarpolu County, several Persons with Disabilities (PwDs) have voiced out their concerns, highlighting the need for skill training, access to loan, public facilities, job opportunities and equal representation as some of the key issues confronting them.
Report By: Henry Gboluma in Gbarpolu County
# Quantum chemistry results from another source follow
<<<
(1)
# C4H8N2O

An isolated molecule of C4H8N2O (ωB97M-V/def2-TZVPD, the OMol25 dataset).

```
15
C4H8N2O, DFT ωB97M-V/def2-TZVPD
C 0.79 -0.52 -0.43
C -1.21 0.75 0.63
N -0.08 0.84 1.31
H -1.62 2.51 -0.42
H 1.54 -0.57 -1.22
H -0.52 -2.12 -1.02
C 0.11 -1.84 -0.17
C 0.94 0.48 0.51
H -1.53 1.12 -1.37
H -2.06 0.28 1.12
H -0.50 -1.81 0.73
O 2.06 1.26 0.61
N -1.56 1.50 -0.44
H 0.84 -2.65 -0.05
H 2.80 0.77 0.22
```

Properties
Molecular weight: 100.12 g mol⁻¹
E: -9302.4334 eV
LUMO (spin up / spin down): 0.1 / 0.1 eV


(2)
# C4H8N2O

An isolated molecule of C4H8N2O (ωB97M-V/def2-TZVPD, the OMol25 dataset).

```
15
C4H8N2O, DFT ωB97M-V/def2-TZVPD
C 1.02 1.75 0.24
H 1.14 -2.01 -0.37
N 0.18 -1.73 -0.52
C 0.01 -0.44 0.00
H -3.18 0.13 -0.31
H -2.27 -1.11 -0.99
H 1.85 2.38 0.56
H -0.49 -2.37 -0.10
H 3.06 0.42 0.35
H 0.21 2.31 -0.21
C -1.23 0.10 0.20
O 2.37 -0.25 0.29
N -2.41 -0.51 -0.18
C 1.16 0.41 0.14
H -1.41 0.92 0.89
```

Properties
Molecular weight: 100.12 g mol⁻¹
E: -9304.1599 eV
LUMO: 0.9 eV


(3)
# C4H8N2O2

An isolated molecule of C4H8N2O2 (ωB97M-V/def2-TZVPD, the OMol25 dataset).

```
16
C4H8N2O2, DFT ωB97M-V/def2-TZVPD
C -1.20 0.16 0.38
N 0.14 0.54 0.24
H 2.76 -0.97 -1.33
N -0.02 -1.07 -1.30
H -2.27 -0.76 -1.35
C 0.88 -0.58 -0.29
H 3.09 0.07 -0.11
H 0.01 -0.34 -2.04
H -1.56 -1.76 -0.09
O -1.92 0.73 1.25
H 2.42 0.67 -1.62
C 2.36 -0.17 -0.89
O 0.61 1.16 1.35
H 1.05 -1.31 0.43
H -0.15 1.69 1.74
C -1.31 -0.86 -0.70
```

Properties
Molecular weight: 116.12 g mol⁻¹
E: -11350.4792 eV
LUMO: 0.9 eV


(4)
# C4H8N2O2

A structure of composition C4H8N2O2 (ωB97M-V/def2-TZVPD, the OMol25 dataset).

```
16
C4H8N2O2, DFT ωB97M-V/def2-TZVPD
H -1.97 -1.62 -0.78
C -2.44 -0.95 -0.03
C 1.28 1.99 0.11
C -0.44 0.27 0.04
H 1.87 -2.98 0.14
H 2.33 1.15 -0.15
O -1.85 0.28 0.02
N 1.47 -0.65 -0.04
H 1.27 2.29 1.56
H -2.36 -1.41 1.09
H 1.01 3.07 -0.41
O -0.14 1.54 -0.30
N 0.12 -0.82 0.24
H 3.15 -1.55 -0.50
H -3.45 -0.64 -0.34
C 2.11 -1.74 -0.08
```

Properties
Molecular weight: 116.12 g mol⁻¹
E: -11346.0602 eV
LUMO: 0.8 eV


(5)
# C4H8N2O2

A cluster of 2 separate species, C4H8N2O2 in total (ωB97M-V/def2-TZVPD, the OMol25 dataset).

```
16
C4H8N2O2, DFT ωB97M-V/def2-TZVPD
O 1.86 0.50 -0.64
H 2.43 -1.18 1.34
H -2.41 0.27 -1.88
O -1.81 -0.20 0.69
H 3.73 0.33 -1.28
N 1.54 -1.30 0.92
N -1.50 -0.06 -1.62
C -3.34 -0.03 0.79
C 3.24 0.69 -0.41
C -1.20 -0.32 -0.47
H -3.51 1.06 0.60
H 3.71 -0.02 0.39
H 3.63 1.76 -0.19
H -4.00 -0.59 0.00
H -3.60 -0.43 1.71
C 1.23 -0.49 0.03
```

Properties
Molecular weight: 116.12 g mol⁻¹
E: -11347.0000 eV
LUMO (spin up / spin down): 0.1 / 0.1 eV


(6)
# C4H8N2O2

A cluster of 2 separate species, C4H8N2O2 in total (ωB97M-V/def2-TZVPD, the OMol25 dataset).

```
16
C4H8N2O2, DFT ωB97M-V/def2-TZVPD
C -0.57 0.25 -0.72
C 1.23 -0.92 0.99
H 1.09 0.29 -1.87
H -0.92 2.36 -0.75
O 1.26 -0.18 2.10
N -1.49 -0.54 -0.30
H 0.10 -1.01 -2.15
H -0.80 1.66 0.87
H 0.29 -1.60 1.00
H -2.87 -1.81 0.33
N 0.13 -0.03 -1.89
C -0.40 1.62 -0.14
O 2.08 -0.91 0.14
H 0.66 1.89 -0.11
>>>
Despite these challenges, some PwDs in the county have been narrating how they are making life.
“Sometimes when things are hard on me, I can make a garden for myself. I can buy coal because I can’t see, my children can help me, [and] we sell in the market,” explains Nyaiwo Kollie, a resident of Promise land community in Bopolu. “So, we are asking the people to help us with small money – so we can be helping our children them.”
Kebbeh Barclay is another woman living with disability who is defying the odds. She sells peanuts and farina (cassava cereal) to cater for her children. But she says more support is needed for people like her.
/*
This record from the OMol25 dataset describes C24H46Cl8CsFMgN4O13PS2 as an isolated structure in a non-equilibrium geometry. The level of theory is ωB97M-V/def2-TZVPD.

Summary:
orbital gap	0.037	Eh
total charge	-1
LUMO energy	-0.0864	Eh
HOMO energy	-3.36	eV
energy	-198049.9267	eV

Geometry as XYZ:
```
101
Properties=species:S:1:pos:R:3:mulliken_charge:R:1
C -3.290 -2.536 0.446 -0.20
C -4.175 -1.672 1.361 -0.80
P -3.954 0.148 1.508 -0.05
C -4.227 0.799 -0.176 -0.78
N -2.232 0.540 1.802 0.24
C -1.363 -0.571 2.201 -1.09
N -0.589 -0.954 1.023 -0.33
S -2.052 1.844 2.773 1.06
O -3.177 2.686 2.647 -0.53
O -0.782 2.416 2.544 -0.54
F -2.059 1.276 4.226 -0.24
H -2.404 -2.819 1.006 0.13
H -3.832 -3.449 0.206 0.40
H -2.990 -2.099 -0.497 -0.28
H -4.143 -2.095 2.363 0.47
H -5.212 -1.772 1.044 0.49
H -3.916 1.837 -0.185 0.33
H -5.268 0.655 -0.441 0.38
H -3.617 0.226 -0.872 0.08
H -1.872 -1.403 2.681 0.53
H -0.672 -0.179 2.950 0.74
H 0.195 -0.322 0.929 0.25
H -0.234 -1.908 1.024 -0.03
Mg 0.846 -2.820 2.706 -0.09
C -2.545 -2.210 -4.167 0.27
Cl -1.182 -2.695 -5.155 -0.02
Cl -3.558 -3.620 -3.821 -0.13
Cl -1.955 -1.541 -2.629 -0.10
Cl -3.501 -0.996 -5.011 -0.10
C -0.693 -4.103 -9.145 0.12
Cl -1.846 -4.881 -8.102 -0.10
Cl 0.529 -3.208 -8.210 -0.17
Cl 0.103 -5.287 -10.204 -0.18
H -1.239 -3.400 -9.768 0.22
C -0.673 7.377 5.927 -2.11
C -1.406 6.485 6.714 1.36
C -1.809 5.180 5.983 0.47
O -2.393 4.279 6.585 -0.74
C -1.486 5.063 4.592 -0.29
C -0.752 5.990 3.811 0.50
C -0.268 7.234 4.579 -0.08
O 0.448 8.110 4.073 -0.81
O -0.470 5.899 2.611 -0.71
O -1.740 6.658 7.906 -0.85
H -0.355 8.288 6.366 1.39
H -1.856 4.156 4.130 0.05
C 3.016 -9.207 3.079 -1.42
C 2.437 -9.192 1.674 0.27
C 1.748 -7.887 1.288 -0.64
O 0.499 -7.787 1.936 -0.47
C 0.527 -7.053 3.174 -0.56
N 1.367 -10.251 1.581 -0.28
H 2.242 -9.236 3.846 0.37
H 3.648 -10.087 3.223 0.47
H 3.627 -8.325 3.253 0.20
H 3.215 -9.444 0.955 0.36
H 1.536 -7.903 0.215 0.41
H 2.391 -7.027 1.477 0.41
H 1.342 -6.331 3.191 0.23
H 0.620 -7.734 4.022 0.24
H -0.418 -6.523 3.269 0.27
H 1.638 -11.132 2.014 0.34
H 1.091 -10.427 0.614 0.36
H 0.535 -9.869 2.055 0.36
Cl -3.686 -4.083 -10.122 -0.88
Cs -0.319 9.650 7.671 0.95
C 2.027 0.612 -9.281 -1.24
C 0.587 0.278 -9.608 0.74
O 0.204 -0.866 -9.732 -0.56
N -0.282 1.321 -9.757 -0.18
C -0.014 2.740 -9.643 -0.84
H 2.581 -0.317 -9.194 0.25
H 2.473 1.214 -10.073 0.35
H 2.092 1.149 -8.334 0.37
H -1.222 1.027 -9.972 0.25
H -0.633 3.172 -8.855 0.28
H -0.258 3.238 -10.584 0.28
H 1.029 2.923 -9.409 0.31
O 6.355 -8.240 6.448 -0.42
C 5.154 -8.024 6.346 0.00
C 4.997 -6.684 5.019 -0.30
O 3.796 -6.433 4.898 -0.42
H 4.603 -7.545 7.176 0.29
H 4.489 -8.806 5.922 0.12
H 5.536 -7.137 4.162 0.26
H 5.670 -5.896 5.398 0.38
O 2.425 9.460 0.450 -0.66
S 1.051 9.613 0.073 1.22
O 0.677 9.475 -1.305 -0.64
O 0.559 11.056 0.580 -0.27
C 1.364 12.187 0.224 -0.39
C 1.147 12.625 -1.212 -0.99
C 0.015 8.637 1.084 -0.91
H 2.416 11.971 0.417 0.34
H 1.066 12.986 0.903 0.27
H 1.522 11.879 -1.911 0.30
H 1.668 13.565 -1.402 0.39
*/
End of the quantum chemistry results.
“So, I am asking the people to help us with money to be doing business,” she said during a community media forum held in Bopolu.
“We said that disability is not inability,” adds Mamai Korpo, who is a former coordinator for PwDs in the county. “We need to do something to help ourselves. So, I am asking the authorities in this county and the international community to help us with skills to allow us to be doing something for ourselves. We need to be represented at the capitol building to speak – we get mouth to speak too even though some of us cannot see.”
“You need to be doing something for yourself,” says Junior Barclay. “Now, I am doing market to support my children, so, we thank Internews – we are speaking out today.”

Many of PwDs spoke at a media campaign organized by the National Union of the Disable – (NUOD) Gbarpolu Branch on September 30 in the Bondi Community of Bopolu District.
The Community media forum is being implemented under a three-month Internews’ inclusive media project named ‘Sensitize and Support Persons with Disabilities’, said Sunny Wennie, County Coordinator of NUOD.
Mr. Wennie said: “We feel respected and a part of society today with this opportunity, telling our own stories, I think this going to help us get some timely supports. We are thankful to the team at Voice of Gbarpolu for opening our eyes. And we are deeply grateful to Internews for supporting us under their Inclusive Media Project which is helping to amplify Persons with Disabilities (PwDs) voices from this part of Liberia.”
The outreach brought together over 30 people including community leaders, service providers, social protection organizations, and PwDs organizations. The participants discussed issues that were deemed important by the physically challenged community.
The CSO representative at the first-ever disabled related community media forum called on the county administration to continue supporting PwDs in the county.
Alfred B. Scott said: “We are happy to be a part of this event. So, all that we listened to are key concerns that we are promoting to attract timely intervention from our local authorities and other partners in and out of this county and Liberia.”
PwDs in Liberia are mostly marginalized, stigmatized, and excluded from education, skills training, and income-generating opportunities, which is largely because they have a limited voice in politics and society.
Their issues are hardly included in national policies, especially in poverty reduction initiatives causing their living conditions to continue to deteriorate in a ‘vicious cycle.’
According to SIDA, 99 percent of people with disabilities in Liberia live in extreme poverty. But Liberia is taking steps to improve the lives of those living with disabilities.
- - -
Formula: C44H16BF8N12Rh
Source: the Open Molecules 2025 dataset
Level of theory: ωB97M-V with the def2-TZVPD basis set

The value obtained for the energy is -3277.859719 hartree. For the highest occupied orbital energy, the calculation gives -8.37 eV. As for the spin multiplicity: 1. Its relative energy (zero: lowest compared OMol25 entry of this formula, charge and spin) is 116.5 kJ/mol. As for the net charge: 0.

XYZ file:
```
82
Properties=species:S:1:pos:R:3:forces:R:3:mulliken_charge:R:1
Rh 0.7176 -0.3738 -0.4426 0.164 0.166 0.018 -0.1286
C -2.1416 -6.2095 -1.2670 0.011 0.018 0.013 -0.6474
C -1.5780 -6.4805 -0.0213 -0.008 -0.002 -0.016 -0.7024
C -0.8871 -5.5009 0.6823 0.018 -0.003 0.033 -0.1079
C -0.7881 -4.2571 0.0904 -0.002 0.004 0.009 0.2323
C -0.1272 -3.0229 0.5297 -0.079 0.055 -0.022 0.1785
N -0.2973 -2.0664 -0.3484 0.074 -0.121 0.004 0.0663
C -1.0402 -2.5768 -1.4542 -0.031 0.080 -0.149 -0.5142
N -1.3728 -1.9610 -2.5015 -0.034 -0.100 0.080 -0.5242
C -1.0215 -0.5979 -2.7277 -0.095 0.132 -0.093 0.7235
C -1.8380 0.0340 -3.8246 0.025 -0.012 -0.006 0.2509
C -2.8760 -0.6798 -4.4162 0.006 -0.034 -0.010 -0.5864
C -3.7009 -0.1032 -5.3699 0.006 0.021 -0.004 -0.8194
C -3.4963 1.2069 -5.7671 0.009 -0.022 0.016 -0.9445
C -2.4580 1.9271 -5.2017 -0.014 0.005 -0.018 -0.4064
C -1.6388 1.3645 -4.2321 0.111 -0.042 0.007 -0.7778
C -0.5825 2.2325 -3.6667 -0.112 0.153 0.026 0.0186
N 0.8135 2.7735 -2.1329 0.208 -0.317 -0.005 0.9172
C 1.6037 2.5662 -1.0300 -0.182 0.252 -0.002 -0.5103
N 1.8301 1.4344 -0.4094 0.332 -0.052 -0.037 0.4179
C 2.6660 1.7551 0.7071 -0.018 -0.047 0.048 -0.0021
N 2.9414 1.0783 1.7544 -0.029 0.059 0.012 -0.4048
C 2.4523 -0.1552 2.0436 0.192 -0.052 0.053 0.1297
N 1.5997 -0.8573 1.3536 -0.226 0.066 0.213 0.4606
C 1.3161 -2.0309 2.0623 -0.048 -0.127 0.010 -0.1332
N 0.5375 -2.9845 1.7212 -0.005 -0.074 0.036 -0.4382
C 2.0954 -2.0159 3.3156 -0.022 0.026 -0.068 -0.0418
C 2.2003 -2.9135 4.3499 0.005 -0.037 0.041 -0.1807
C 3.0714 -2.5806 5.3902 -0.004 0.019 -0.025 -0.7395
C 3.7987 -1.3965 5.3722 -0.012 -0.012 -0.004 -0.7854
C 3.6854 -0.4946 4.3128 0.037 0.020 0.009 0.0072
C 2.8240 -0.8360 3.2965 0.040 0.044 -0.052 0.0377
C 3.0710 3.1687 0.6067 -0.060 -0.073 0.006 -0.5697
C 3.9194 3.9448 1.3586 0.044 0.032 0.024 -0.2552
C 4.0125 5.2946 1.0089 -0.011 -0.026 0.008 -0.7115
C 3.2765 5.8236 -0.0450 0.001 -0.008 -0.015 -0.9719
C 2.4226 5.0202 -0.8024 -0.003 0.037 -0.028 0.2392
C 2.3420 3.6940 -0.4430 -0.121 -0.022 0.030 0.6124
N -0.1673 0.0930 -2.1173 -0.028 -0.136 -0.134 0.6790
C -1.3468 -3.9870 -1.1506 0.016 0.035 0.068 0.1116
C -2.0357 -4.9511 -1.8534 -0.017 -0.025 -0.022 -0.2857
H -2.6701 -6.9967 -1.7884 0.002 0.002 -0.001 0.4155
H -1.6783 -7.4718 0.3999 -0.002 0.003 0.002 0.4118
H -0.4412 -5.6974 1.6477 -0.003 0.001 -0.010 0.5728
H -3.0354 -1.7044 -4.1157 -0.003 0.007 0.007 0.5855
H -4.5050 -0.6839 -5.8026 0.001 0.002 0.003 0.4105
H -4.1348 1.6661 -6.5095 0.002 -0.004 -0.003 0.4287
H -2.2797 2.9503 -5.5117 0.000 -0.006 0.005 0.4761
- - -
In 2012, Liberia signed and ratified the U.N. Conventions on Human Rights of persons with disability as well as other treaties that reference the rights of the child, the African Charter on Human and People’s Rights, the Convention on the Elimination of all Forms of Discrimination against women. It also formed a National Commission on Disability and is reviewing its constitution to address the rights of PwDs.
Several PwDs are empowered through National Commission on Disability and the National Union Organization for Persons with disabilities, but there is still much needed to be done to uplift the lives of PwDs and to achieve the four percent work rights as required by the 2005 law establishing the National Commission on Disability.
This story was made possible by Voice of Gbarpolu Radio Station, a partner to NUOD Gbarpolu Branch with support from the Internews Inclusive Media project